_File_
~~~
No. 1
A plane-wave DFT calculation with GGA-PBE was carried out for an optimized crystal structure of SrIn2PN4.

The structure in extended XYZ format:
```
8
Lattice="-2.686 -1.927 -4.570 -4.042 -2.140 3.301 1.508 5.178 0.400" Properties=species:S:1:pos:R:3 pbc="T T T"
N -2.595 1.640 -0.403
N -0.196 3.090 0.050
Sr -0.002 0.003 0.000
N -4.064 -1.296 0.709
N -3.581 -1.220 -2.094
P -1.856 3.144 -0.235
In -2.952 0.507 1.533
In -2.274 0.613 -2.403
```

- Symmetry: Fmm2 (42)
- E_form (uncorrected): -2.21 eV per formula unit
- VASP energy: -6.011 eV/atom
- Fermi-level density of states: 2.73 states/eV/f.u.

No. 2
A plane-wave DFT calculation with GGA-PBE was carried out for an optimized crystal structure of Cs2AlAgS.

The structure in extended XYZ format:
```
5
Lattice="-5.880 -2.084 -1.503 -0.424 -2.914 5.701 -2.003 4.207 2.002" Properties=species:S:1:pos:R:3 pbc="T T T"
Al -1.001 2.103 1.001
Cs -0.212 -1.457 2.851
S -4.153 -0.396 3.100
Cs -2.940 -1.042 -0.751
Ag 0.000 0.000 0.000
```

- Symmetry: P4/mmm (123)
- E_form (uncorrected): 0.37 eV per formula unit
- VASP energy: -2.412 eV/atom
- Fermi-level density of states: 2.74 states/eV/f.u.

No. 3
A plane-wave DFT calculation with GGA-PBE was carried out for an optimized crystal structure of CeThTlHg.

The structure in extended XYZ format:
```
4
Lattice="-0.713 1.908 2.829 -0.135 -2.904 1.925 9.009 0.752 1.764" Properties=species:S:1:pos:R:3 pbc="T T T"
Ce 3.277 0.274 0.642
Th 7.661 0.640 1.501
Tl 0.568 -0.415 2.571
Hg 5.014 -0.044 3.442
```

- Symmetry: P4mm (99)
- VASP energy: -4.233 eV/atom
- DFT formation energy: -0.228 eV/atom
- Fermi-level density of states: 8.78 states/eV/f.u.

No. 4
A plane-wave DFT calculation with GGA-PBE was carried out for an optimized crystal structure of TaMo5.

The structure in extended XYZ format:
```
6
Lattice="3.180 0.000 0.000 0.000 4.515 0.000 0.000 -2.258 6.761" Properties=species:S:1:pos:R:3 pbc="T T T"
Ta 0.000 0.000 0.000
Mo 1.590 2.258 0.000
Mo 0.000 2.258 2.259
Mo 1.590 0.000 2.289
Mo 0.000 0.000 4.502
Mo 1.590 2.258 4.473
```

- Symmetry: Cmmm (65)
- VASP energy: -11.097 eV/atom
- DFT formation energy: -0.096 eV/atom
- Fermi-level density of states: 3.40 states/eV/f.u.

No. 5
A plane-wave DFT calculation with GGA-PBE was carried out for an optimized crystal structure of Yb2CdSb2.

The structure in extended XYZ format:
```
10
Lattice="8.987 0.042 0.000 -7.780 4.500 0.000 0.000 0.000 7.071" Properties=species:S:1:pos:R:3 pbc="T T T"
Sb 3.640 1.463 0.148
Sb 7.825 0.351 7.009
Yb -2.678 3.143 0.196
Yb 3.886 1.398 3.732
Sb -2.433 3.078 3.684
Yb 0.297 2.352 5.086
Yb 0.910 2.189 1.550
Cd -6.083 4.049 6.354
Cd 7.291 0.493 2.818
Sb -6.617 4.191 3.473
```

- Symmetry: Cmc2_1 (36)
- E_form (uncorrected): -3.88 eV per formula unit
- VASP energy: -3.219 eV/atom
- Fermi-level density of states: 30.80 states/eV/f.u.

No. 6
A plane-wave DFT calculation with GGA-PBE was carried out for an optimized crystal structure of SbPdPt4.

The structure in extended XYZ format:
```
12
Lattice="-1.113 0.198 5.395 -0.376 -5.494 0.113 7.352 -0.471 1.534" Properties=species:S:1:pos:R:3 pbc="T T T"
Pt 6.333 -3.072 5.615
Sb 1.556 -4.238 0.468
Pt 2.469 -5.581 4.904
Sb 5.420 -1.727 1.179
Pt 3.204 -2.933 2.193
Pd 4.676 -4.375 3.933
Pt 2.660 -2.834 4.849
Pt -0.829 0.147 4.025
Pt -0.469 -2.696 1.426
Pt 6.693 -5.914 3.016
Pd 1.188 -1.392 3.109
Pt 3.395 -0.187 2.137
```

- Symmetry: C2/m (12)
- E_form (uncorrected): -0.14 eV per formula unit
- VASP energy: -5.603 eV/atom
- Fermi-level density of states: 6.10 states/eV/f.u.

=====

Mn2Te4Pb | PBE | optimized geometry

a b c (Å): 8.4339 8.4339 8.4339
angles (deg): 120.55 118.70 90.66
Last column: nearest neighbours and their distance in Å.
Sites, in units of the cell vectors:
Mn: 0.0000 0.0000 0.0000  6 Te 2.81-2.85
Mn: 0.5000 0.0000 0.0000  6 Te 2.81-2.85
Mn: 0.5000 0.0000 0.5000  6 Te 2.81-2.85
Mn: 0.5000 0.5000 0.5000  6 Te 2.81-2.85
Te: 0.2602 0.2333 0.4731  3 Mn 2.85, 2 Pb 3.16
Te: 0.2602 0.7870 0.0269  3 Mn 2.85, 2 Pb 3.16
~~~

_Exercise_
The reader should echo every line further up that contains the word "in".

_Reply_
The structure in extended XYZ format:
The structure in extended XYZ format:
The structure in extended XYZ format:
The structure in extended XYZ format:
The structure in extended XYZ format:
The structure in extended XYZ format:
Last column: nearest neighbours and their distance in Å.
Sites, in units of the cell vectors: